On Our Minds
On Our Minds

Industry Data Is Essential and Yet It’s Often Inaccurate. Here’s Why.

Abstract OG image representing concept "Industry data is essential and yet it’s often inaccurate. Here’s why."

It’s hard to predict a business’s risk without knowing its industry. Consider if a business called Self-Sufficient Coffee Co. applied for group accident insurance: if you were that insurer’s risk officer, you would naturally be concerned whether the applicant was involved in mass producing coffee, serving coffee, or both.

Industry data provides insight into how a business makes money — for example, whether a business sells a good or a service as opposed to manufacturing goods. This data helps financial institutions make smarter decisions about whether to engage with a small business, as well as how to market to, underwrite, and onboard the small businesses they serve.

Although industry classification is essential, accurately defining a business’s industry remains challenging. Why? In general, industry data is complex, and the granularity of available industry data varies significantly. In this post I’ll break down precisely why industry classification has been hard to achieve, and thus resulted in years of inaccurate or vague industry data.

Breaking down the challenges of industry classification

Selecting a business’s industry is surprisingly difficult.

When we ask for industry data, we’re really looking for insight into how the business operates, and how they make money.

Consider our hypothetical coffee shop, Self-Sufficient Coffee Co., a local hangout that sources beans, roasts in-house, and sells coffee both by the cup and in take-home bags. In the morning, the shop bakes its own pastries to accompany the coffee it sells. Depending on the activity you focus on, Self-Sufficient’s industry classification could be a specialty drinks business (NAICS 722515 – Snack and Nonalcoholic Beverage Bars) or a manufacturer of coffee (NAICS 311920 – Coffee and Tea Manufacturing). Which is correct?

One way to define a business’s primary industry is to use a quantitative standard. You could determine the business’s industry by selecting the aspect of the business that generates the highest amount of revenue or profit. Sometimes these can be at odds with each other: the coffee bar could make the highest amount of revenue, but because coffee roasting can produce large volumes of beans that are sold to other stores, coffee roasting could actually make a higher profit than the bar.

Sometimes these factors change: if the manufacturing side expands, it may result in the coffee shop’s industry changing to manufacturing, even if it’s still better known as a coffee bar. The intangible factor of what a business is known for, or even what the owner intends the business’s industry to be, is always disregarded. These factors can make it difficult to validate industries from the outside. Even if you were a regular customer of the establishment itself, how would you know that this coffee shop had quietly switched industries unless you had access to its balance sheets?

Classification systems require tough decisions.

NAICS is an industry classification system that uses 6 digits (1-9) to convey taxonomic information about industry. The first digit says if it provides a good or a service, the second gets into more specifics, such as if it’s in manufacturing, retail, wholesale, construction, etc. The third through sixth digits break each previous digit’s definition into up to 9 sub-categories. Sometimes the 9th sub-category ends up being miscellaneous (as an example, NAICS 713990 - All Other Amusement and Recreation Industries simultaneously encompasses laser tag, dance halls, and riding stables). This system makes sense on paper, but reality often throws a curveball.

You may have noticed something in the coffee shop example up above: one of the example NAICS codes began with 311 and the other with 722. NAICS 311920 – Coffee and Tea Manufacturing is closer in the taxonomy to NAICS 311811 - Retail Bakeries than to NAICS 722515 – Snack and Nonalcoholic Beverage Bars, where “snack” is an umbrella concept that covers baked goods and “non-alcoholic beverage” is one that covers coffee.

• Misplaced calculated crystals:
=====
The following is a PBE calculation of Ta3Ir after structural relaxation, from Materials Project.

Cell lengths 6.489, 6.489, 6.489 Å; angles 90.00, 90.00, 90.00 degrees
Space group Fm-3m (No. 225)
Asymmetric unit:
Ta 0.000 0.000 0.000 x4
Ta 0.250 0.250 0.250 x8
Ir 0.000 0.000 0.500 x4

Computed properties:
Energy of formation ... -1.3 eV per formula unit
Total energy ... -45.70 eV per formula unit
V ... 273.2 Å³ per cell

=====

PBE U2Al19Co6, optimized geometry; space group = C2/m, No. 12; formation enthalpy at 0 K = -395 meV per atom; volume = 832 Å³/cell; size of the total moment = 4.9 μB per formula unit
1.0
8.753 -6.003 0.000
8.753 6.003 0.000
-1.966 0.000 7.918
U Al Co
4 38 12
Cartesian
3.386 0.000 1.771 U
2.365 0.000 5.903 U
13.175 0.000 2.015 U
12.155 0.000 6.147 U
3.948 2.996 1.896 Al
5.054 4.023 4.366 Al
6.192 3.915 0.429 Al
7.108 4.590 2.785 Al
6.179 4.582 6.691 Al
9.361 4.582 1.227 Al
8.432 4.590 5.133 Al
4.479 1.385 4.221 Al
5.746 1.348 0.366 Al
7.029 2.086 5.045 Al
9.348 3.915 7.489 Al
10.486 4.023 3.552 Al
8.753 2.012 0.000 Al
8.511 2.086 2.873 Al
5.573 0.000 6.448 Al
6.612 0.000 2.812 Al
4.479 -1.385 4.221 Al
5.746 -1.348 0.366 Al
11.593 2.996 6.022 Al
3.948 -2.996 1.896 Al
9.795 1.348 7.552 Al
11.061 1.385 3.697 Al
8.928 0.000 5.106 Al
9.967 0.000 1.470 Al
7.029 -2.086 5.045 Al
8.753 -2.012 0.000 Al
5.054 -4.023 4.366 Al
6.192 -3.915 0.429 Al
8.511 -2.086 2.873 Al
9.795 -1.348 7.552 Al
11.061 -1.385 3.697 Al
7.108 -4.590 2.785 Al
6.179 -4.582 6.691 Al
9.361 -4.582 1.227 Al
8.432 -4.590 5.133 Al
9.348 -3.915 7.489 Al
10.486 -4.023 3.552 Al
11.593 -2.996 6.022 Al
0.270 0.000 3.208 Co
-0.663 0.000 7.186 Co
5.038 2.393 6.422 Co
6.076 2.371 2.612 Co
9.465 2.371 5.306 Co
10.502 2.393 1.496 Co
5.038 -2.393 6.422 Co
6.076 -2.371 2.612 Co
9.465 -2.371 5.306 Co
10.502 -2.393 1.496 Co
16.203 0.000 0.732 Co
15.270 0.000 4.710 Co

=====

KAgO2 (PBE, relaxed); total moment = 0.0 μB/cell; energy relative to the elements = -1.0028 eV per atom; SG = Pmmm (47)
1.0
3.046 0.000 0.000
0.000 3.729 0.000
0.000 0.000 5.931
K Ag O
1 1 2
Cartesian
0.000 0.000 0.000 K
0.000 1.864 2.966 Ag
1.523 1.864 1.599 O
1.523 1.864 4.332 O

=====

The following is a PBE calculation of a geometry-optimized Ce3Dy2O9 structure, from Materials Project.

Geometry as extended XYZ:
```
14
Lattice="8.030 6.657 9.166 3.834 10.110 8.711 -7.206 -9.662 -6.895" Properties=species:S:1:pos:R:3 pbc="T T T"
Ce 0.084 2.725 3.575
Ce 2.476 6.107 7.180
Ce 3.378 2.689 5.605
Dy 5.686 5.951 9.083
Dy 1.070 -0.572 2.128
O 7.174 10.139 10.811
O 2.318 3.275 3.492
O 9.547 13.492 14.385
O 4.690 6.628 7.067
O 10.778 15.232 16.241
O 5.932 8.384 8.939
O 1.086 1.535 1.637
O 8.347 11.796 12.578
O 3.517 4.971 5.300
```

Results
DFT formation energy: -3891 meV/atom
total magnetic moment: 0.0 μB/cell
E: -8.56 eV/atom
space group: No. 119

=====

Hf4AgPd | r²SCAN | optimized geometry

Cell and atoms, written as POSCAR:
```
Hf4AgPd
1.0
-2.808 1.376 0.829
-0.933 -0.038 -3.097
-4.573 -10.239 1.502
Hf Ag Pd
=====
• The calculated crystals stop here:

Depending on how you think about industry, this may or may not sound intuitive. This is because industry is comprised of a number of factors, including: its inputs and outputs (i.e. a bakery takes flour, water, yeast, etc. and converts it to bread and pastries), how the input gets converted to the output (i.e. was it by machine or by hand), how it gets delivered to the customer (sold over the counter, transported to another location, etc.), and what kind of customer do you serve (retail establishments, direct consumers, banks, etc.). There are even unaccounted for factors in most industry classifications, such as the target market segment. Each of these factors can connect companies together, but if you want to make a taxonomy, you have to decide which factors will split the categories earlier and which ones will split later.

Data granularity is highly variable.

Every use case for industry data requires a different amount of detail, also known as “granularity.” It’s challenging to provide industry data that provides enough insight for most users, without becoming overwhelming. There are two ways to think about granularity: the detail of industry-level data available and the detail of industry-level data needed for a specific use case.

Again, let’s consider Self-Sufficient Coffee Co. If you’re determining whether to lend to the coffee shop, it may be enough to know that they are in the food services industry because you believe that food services businesses perform well enough to qualify for a loan. However, if you’re determining whether to insure the coffee shop, Self-Sufficient’s in-house roasting activities will likely affect your risk evaluation.

This desired level of industry granularity still has to contend with what data is available, presenting potential trade-offs between accuracy and granularity. If you require a more detailed level of granularity about a business’s industry than a data provider can offer, their accuracy becomes irrelevant. Likewise, a provider’s specificity of industry data doesn’t mean anything if they can’t deliver accuracy at that level of granularity as well.

A new option for industry classification data

We want to change how industry codes are being predicted for small and medium businesses across the U.S. Our classifiers deliver 2-3X better precision than incumbent data providers. Providing this accuracy and high levels of granularity when needed means we’re able to provide more powerful industry data than what’s been available to date.

We’ve detailed our approach to industry classification data in this earlier blog post, but you’re also welcome to explore Enigma’s industry classification data for yourself via our API.